LaReSe2: relaxed, PBE. Values from VASP.

Properties
Calculated volume ... 23.97 Å³/atom
Crystal system ... monoclinic
Formation energy from raw total energies ... -499.2 meV/atom
Final energy ... -26.34 eV/cell
Density ... 8.367 Mg/m³
Space group ... Pm, No. 6
ΔE to the lowest computed polymorph ... 220 meV per atom

```
&SYSTEM
  ibrav = 0, nat = 4, ntyp = 3
/
ATOMIC_SPECIES
La 138.91 La.upf
Re 186.21 Re.upf
Se 78.96 Se.upf
ATOMIC_POSITIONS angstrom
La 0.0000 0.0000 0.0000
Re 1.8969 2.2745 1.7121
Se 0.0069 2.2745 4.7629
Se 1.8966 0.0000 2.4702
CELL_PARAMETERS angstrom
3.7952 0.0000 0.0000
0.0000 4.5489 0.0000
-1.8909 0.0000 5.5526
```

* * * * *

A plane-wave DFT calculation with GGA-PBE was carried out for crystalline PmGaAgSn at its relaxed geometry.

Summary:
As for the space group: F-43m. Its energy of formation from the pure elements is -30 kJ/mol of atoms.

```
PmGaAgSn
1.0
7.1754 0.0000 0.0000
0.0000 7.1754 0.0000
0.0000 0.0000 7.1754
Pm Ga Ag Sn
4 4 4 4
direct
0.0000 0.0000 0.0000
0.0000 0.5000 0.5000
0.5000 0.0000 0.5000
0.5000 0.5000 0.0000
0.2500 0.2500 0.2500
0.2500 0.7500 0.7500
0.7500 0.2500 0.7500
0.7500 0.7500 0.2500
0.2500 0.2500 0.7500
0.2500 0.7500 0.2500
0.7500 0.2500 0.2500
0.7500 0.7500 0.7500
0.0000 0.0000 0.5000
0.0000 0.5000 0.0000
0.5000 0.0000 0.0000
0.5000 0.5000 0.5000
```
The reader should say how many lines of the block earlier on hold the word "Summary", as a bare number.
1